Wanted >
Your job: work out how many lines further below have the word "Pm-3m" in them; a number is enough.

Contents >
+++
Below is crystalline Lu3Hg at its relaxed geometry, with properties calculated at the PBEsol level.

Computed properties:
final energy = -4.006 eV/atom
magnetization = 0.00 μB/f.u.
formation enthalpy at 0 K = -0.84 eV/f.u.
space group = Pm-3m (221)

```
data_Lu3Hg
_symmetry_space_group_name_H-M 'P 1'
_symmetry_Int_Tables_number 1
_symmetry_space_group_name_Hall 'P 1'
_cell_length_a 4.615
_cell_length_b 4.615
_cell_length_c 4.615
_cell_angle_alpha 90.00
_cell_angle_beta 90.00
_cell_angle_gamma 90.00
loop_
_atom_site_label
_atom_site_fract_x
_atom_site_fract_y
_atom_site_fract_z
Hg1 0.000 0.000 0.000
Lu1 0.500 0.500 0.000
Lu2 0.000 0.500 0.500
+++

Response >
1